== Given ==
Record 1
Compound: TlSbO3
Source: the Materials Project database
Functional: GGA-PBE
Structure: relaxed

a = 5.4137 Å, b = 5.4137 Å, c = 15.0438 Å
α = 90.00°, β = 90.00°, γ = 120.00°
Sites, in units of the cell vectors:
Tl 0.3333 0.6667 0.0737
Tl 0.3333 0.6667 0.4263
Tl 0.6667 0.3333 0.5737
Tl 0.6667 0.3333 0.9263
Sb 0.0000 0.0000 0.2500
Sb 0.0000 0.0000 0.7500
Sb 0.3333 0.6667 0.7500
Sb 0.6667 0.3333 0.2500
O 0.0509 0.3333 0.6748
O 0.0509 0.7176 0.8252
O 0.2824 0.3333 0.8252
O 0.2824 0.9491 0.6748
O 0.3333 0.0509 0.1748
O 0.3333 0.2824 0.3252
O 0.6667 0.7176 0.6748
O 0.6667 0.9491 0.8252
O 0.7176 0.0509 0.3252
O 0.7176 0.6667 0.1748
O 0.9491 0.2824 0.1748
O 0.9491 0.6667 0.3252

Record 2
Compound: TlSbO3
Source: the Materials Project database
Functional: GGA-PBE
Structure: relaxed

a = 5.4030 Å, b = 5.4030 Å, c = 16.2438 Å
α = 90.00°, β = 90.00°, γ = 120.00°
Sites, in units of the cell vectors:
Tl 0.3333 0.6667 0.0547
Tl 0.3333 0.6667 0.4453
Tl 0.6667 0.3333 0.5547
Tl 0.6667 0.3333 0.9453
Sb 0.0000 0.0000 0.2500
Sb 0.0000 0.0000 0.7500
Sb 0.3333 0.6667 0.2500
Sb 0.6667 0.3333 0.7500
O 0.0641 0.3361 0.1777
O 0.0641 0.7280 0.3223
O 0.2720 0.3361 0.3223
O 0.2720 0.9359 0.1777
O 0.3361 0.0641 0.8223
O 0.3361 0.2720 0.6777
O 0.6639 0.7280 0.1777
O 0.6639 0.9359 0.3223
O 0.7280 0.0641 0.6777
O 0.7280 0.6639 0.8223
O 0.9359 0.2720 0.8223
O 0.9359 0.6639 0.6777

Record 3
Compound: Tm2Sb2O7
Source: the Materials Project database
Functional: GGA-PBE
Structure: relaxed

Computed properties:
- E above lowest polymorph: 0.046 eV/atom

a = 7.5324 Å, b = 7.5324 Å, c = 7.5324 Å
α = 91.06°, β = 119.95°, γ = 118.84°
Sites, in units of the cell vectors:
Tm 0.0000 0.0000 0.0000
Tm 0.0000 0.5000 0.5000
Tm 0.0380 0.9967 0.5413
Tm 0.4554 0.4967 0.4587
Sb 0.4846 0.9915 0.9932
Sb 0.5230 0.0230 0.5000
Sb 0.5230 0.5230 0.0000
Sb 0.9983 0.4915 0.0068
O 0.1919 0.3608 0.0854
O 0.1919 0.6065 0.3311
O 0.2388 0.7413 0.9975
O 0.2523 0.1228 0.3658
O 0.2523 0.3866 0.6295
O 0.2754 0.1065 0.9146
O 0.2754 0.8608 0.6689
O 0.6806 0.1341 0.3166
O 0.6806 0.8640 0.0465
O 0.7438 0.2413 0.0025
O 0.7571 0.6228 0.3705
O 0.7571 0.8866 0.6342
O 0.8175 0.3640 0.6834
O 0.8175 0.6341 0.9535

Record 4
Compound: Tm3Sb5O12
Source: the Materials Project database
Functional: GGA-PBE
Structure: relaxed

a = 9.3576 Å, b = 9.3576 Å, c = 9.3576 Å
α = 109.47°, β = 109.47°, γ = 109.47°
Sites, in units of the cell vectors:
Tm 0.2500 0.5000 0.7500
Tm 0.2500 0.7500 0.5000
Tm 0.5000 0.2500 0.7500
Tm 0.5000 0.7500 0.2500
Tm 0.7500 0.2500 0.5000
Tm 0.7500 0.5000 0.2500
Sb 0.0000 0.0000 0.5180
Sb 0.0000 0.2839 0.2839
Sb 0.0000 0.5180 0.0000
Sb 0.0000 0.7161 0.7161
Sb 0.2839 0.0000 0.2839
Sb 0.2839 0.2839 0.0000
Sb 0.4820 0.4820 0.4820
Sb 0.5180 0.0000 0.0000
Sb 0.7161 0.0000 0.7161
Sb 0.7161 0.7161 0.0000
O 0.0000 0.2028 0.4815
O 0.0000 0.4815 0.2028
O 0.0000 0.4994 0.7028
O 0.0000 0.7028 0.4994
O 0.2028 0.0000 0.4815
O 0.2028 0.4815 0.0000
O 0.2034 0.5006 0.5006
O 0.2787 0.7972 0.7972
O 0.2972 0.2972 0.7966
O 0.2972 0.7966 0.2972
O 0.4815 0.0000 0.2028
O 0.4815 0.2028 0.0000
O 0.4994 0.0000 0.7028
O 0.4994 0.7028 0.0000
O 0.5006 0.2034 0.5006
O 0.5006 0.5006 0.2034
O 0.5185 0.5185 0.7213
O 0.5185 0.7213 0.5185
O 0.7028 0.0000 0.4994
O 0.7028 0.4994 0.0000
O 0.7213 0.5185 0.5185
O 0.7972 0.2787 0.7972
O 0.7966 0.2972 0.2972
O 0.7972 0.7972 0.2787

Record 5
Compound: TmSbO4
Source: the Materials Project database
Functional: GGA-PBE
Structure: relaxed

a = 7.6241 Å, b = 5.3302 Å, c = 7.5118 Å
α = 90.00°, β = 98.59°, γ = 90.00°
Sites, in units of the cell vectors:
Tm 0.1466 0.2267 0.3834
Tm 0.1466 0.2733 0.8834
Tm 0.8534 0.7267 0.1166
Tm 0.8534 0.7733 0.6166
Sb 0.3369 0.7345 0.1925
Sb 0.3369 0.7655 0.6925
Sb 0.6631 0.2345 0.3075
Sb 0.6631 0.2655 0.8075
O 0.1108 0.5316 0.1805
O 0.1108 0.9684 0.6805
O 0.1819 0.0224 0.1165
O 0.1819 0.4776 0.6165
O 0.3259 0.6118 0.9374
O 0.3259 0.8882 0.4374
O 0.4293 0.0937 0.8092
O 0.4293 0.4063 0.3092
O 0.5707 0.5937 0.6908
O 0.5707 0.9063 0.1908

== Work order ==
It remains to transcribe all of the calculation results further up character by character.

== Here it is ==
Record 1
Compound: TlSbO3
Source: the Materials Project database
Functional: GGA-PBE
Structure: relaxed

a = 5.4137 Å, b = 5.4137 Å, c = 15.0438 Å
α = 90.00°, β = 90.00°, γ = 120.00°
Sites, in units of the cell vectors:
Tl 0.3333 0.6667 0.0737
Tl 0.3333 0.6667 0.4263
Tl 0.6667 0.3333 0.5737
Tl 0.6667 0.3333 0.9263
Sb 0.0000 0.0000 0.2500
Sb 0.0000 0.0000 0.7500
Sb 0.3333 0.6667 0.7500
Sb 0.6667 0.3333 0.2500
O 0.0509 0.3333 0.6748
O 0.0509 0.7176 0.8252
O 0.2824 0.3333 0.8252
O 0.2824 0.9491 0.6748
O 0.3333 0.0509 0.1748
O 0.3333 0.2824 0.3252
O 0.6667 0.7176 0.6748
O 0.6667 0.9491 0.8252
O 0.7176 0.0509 0.3252
O 0.7176 0.6667 0.1748
O 0.9491 0.2824 0.1748
O 0.9491 0.6667 0.3252

Record 2
Compound: TlSbO3
Source: the Materials Project database
Functional: GGA-PBE
Structure: relaxed

a = 5.4030 Å, b = 5.4030 Å, c = 16.2438 Å
α = 90.00°, β = 90.00°, γ = 120.00°
Sites, in units of the cell vectors:
Tl 0.3333 0.6667 0.0547
Tl 0.3333 0.6667 0.4453
Tl 0.6667 0.3333 0.5547
Tl 0.6667 0.3333 0.9453
Sb 0.0000 0.0000 0.2500
Sb 0.0000 0.0000 0.7500
Sb 0.3333 0.6667 0.2500
Sb 0.6667 0.3333 0.7500
O 0.0641 0.3361 0.1777
O 0.0641 0.7280 0.3223
O 0.2720 0.3361 0.3223
O 0.2720 0.9359 0.1777
O 0.3361 0.0641 0.8223
O 0.3361 0.2720 0.6777
O 0.6639 0.7280 0.1777
O 0.6639 0.9359 0.3223
O 0.7280 0.0641 0.6777
O 0.7280 0.6639 0.8223
O 0.9359 0.2720 0.8223
O 0.9359 0.6639 0.6777

Record 3
Compound: Tm2Sb2O7
Source: the Materials Project database
Functional: GGA-PBE
Structure: relaxed

Computed properties:
- E above lowest polymorph: 0.046 eV/atom

a = 7.5324 Å, b = 7.5324 Å, c = 7.5324 Å
α = 91.06°, β = 119.95°, γ = 118.84°
Sites, in units of the cell vectors:
Tm 0.0000 0.0000 0.0000
Tm 0.0000 0.5000 0.5000
Tm 0.0380 0.9967 0.5413
Tm 0.4554 0.4967 0.4587
Sb 0.4846 0.9915 0.9932
Sb 0.5230 0.0230 0.5000
Sb 0.5230 0.5230 0.0000
Sb 0.9983 0.4915 0.0068
O 0.1919 0.3608 0.0854
O 0.1919 0.6065 0.3311
O 0.2388 0.7413 0.9975
O 0.2523 0.1228 0.3658
O 0.2523 0.3866 0.6295
O 0.2754 0.1065 0.9146
O 0.2754 0.8608 0.6689
O 0.6806 0.1341 0.3166
O 0.6806 0.8640 0.0465
O 0.7438 0.2413 0.0025
O 0.7571 0.6228 0.3705
O 0.7571 0.8866 0.6342
O 0.8175 0.3640 0.6834
O 0.8175 0.6341 0.9535

Record 4
Compound: Tm3Sb5O12
Source: the Materials Project database
Functional: GGA-PBE
Structure: relaxed

a = 9.3576 Å, b = 9.3576 Å, c = 9.3576 Å
α = 109.47°, β = 109.47°, γ = 109.47°
Sites, in units of the cell vectors:
Tm 0.2500 0.5000 0.7500
Tm 0.2500 0.7500 0.5000
Tm 0.5000 0.2500 0.7500
Tm 0.5000 0.7500 0.2500
Tm 0.7500 0.2500 0.5000
Tm 0.7500 0.5000 0.2500
Sb 0.0000 0.0000 0.5180
Sb 0.0000 0.2839 0.2839
Sb 0.0000 0.5180 0.0000
Sb 0.0000 0.7161 0.7161
Sb 0.2839 0.0000 0.2839
Sb 0.2839 0.2839 0.0000
Sb 0.4820 0.4820 0.4820
Sb 0.5180 0.0000 0.0000
Sb 0.7161 0.0000 0.7161
Sb 0.7161 0.7161 0.0000
O 0.0000 0.2028 0.4815
O 0.0000 0.4815 0.2028
O 0.0000 0.4994 0.7028
O 0.0000 0.7028 0.4994
O 0.2028 0.0000 0.4815
O 0.2028 0.4815 0.0000
O 0.2034 0.5006 0.5006
O 0.2787 0.7972 0.7972
O 0.2972 0.2972 0.7966
O 0.2972 0.7966 0.2972
O 0.4815 0.0000 0.2028
O 0.4815 0.2028 0.0000
O 0.4994 0.0000 0.7028
O 0.4994 0.7028 0.0000
O 0.5006 0.2034 0.5006
O 0.5006 0.5006 0.2034
O 0.5185 0.5185 0.7213
O 0.5185 0.7213 0.5185
O 0.7028 0.0000 0.4994
O 0.7028 0.4994 0.0000
O 0.7213 0.5185 0.5185
O 0.7972 0.2787 0.7972
O 0.7966 0.2972 0.2972
O 0.7972 0.7972 0.2787

Record 5
Compound: TmSbO4
Source: the Materials Project database
Functional: GGA-PBE
Structure: relaxed

a = 7.6241 Å, b = 5.3302 Å, c = 7.5118 Å
α = 90.00°, β = 98.59°, γ = 90.00°
Sites, in units of the cell vectors:
Tm 0.1466 0.2267 0.3834
Tm 0.1466 0.2733 0.8834
Tm 0.8534 0.7267 0.1166
Tm 0.8534 0.7733 0.6166
Sb 0.3369 0.7345 0.1925
Sb 0.3369 0.7655 0.6925
Sb 0.6631 0.2345 0.3075
Sb 0.6631 0.2655 0.8075
O 0.1108 0.5316 0.1805
O 0.1108 0.9684 0.6805
O 0.1819 0.0224 0.1165
O 0.1819 0.4776 0.6165
O 0.3259 0.6118 0.9374
O 0.3259 0.8882 0.4374
O 0.4293 0.0937 0.8092
O 0.4293 0.4063 0.3092
O 0.5707 0.5937 0.6908
O 0.5707 0.9063 0.1908